The four-week pilot is open to refugees and asylum seekers of all ages and genders and aims to help improve their wellbeing and prospects.

What comes next are data records, not part of the text:
____________
The following is a simulated powder diffractogram of BePdW. It was derived from a crystal structure in Alexandria, relaxed with PBE, using CuKα.

Structure:
Lattice parameters (Å, degrees): 15.1017 3.8906 2.7795 90.00 97.55 90.00
Element x y z (fractional)
Be (0.0000, 0.0000, 0.0000)
Be (0.1190, 0.0000, 0.5816)
Be (0.5000, 0.5000, 0.0000)
Be (0.6190, 0.5000, 0.5816)
Pd (0.1030, 0.5000, 0.0737)
Pd (0.2436, 0.0000, 0.1721)
Pd (0.6030, 0.0000, 0.0737)
Pd (0.7436, 0.5000, 0.1721)
W (0.3370, 0.5000, 0.7261)
W (0.4367, 0.0000, 0.4607)
W (0.8370, 0.0000, 0.7261)
W (0.9367, 0.5000, 0.4607)

Largest 10 diffraction maxima, in order of rising 2θ, 2θ = 10–80°:
2θ 11.8, d = 7.485 Å, intensity 772, (2 0 0)
2θ 23.6, d = 3.766 Å, intensity 255, (1 1 0)
2θ 29.1, d = 3.068 Å, intensity 347, (3 1 0)
2θ 36.2, d = 2.482 Å, intensity 330, (2 0 1)
2θ 37.9, d = 2.373 Å, intensity 1000, (5 1 0)
2θ 39.9, d = 2.260 Å, intensity 325, (1 1 -1)
2θ 41.2, d = 2.189 Å, intensity 209, (1 1 1)
2θ 42.3, d = 2.138 Å, intensity 579, (3 1 -1)
____________

A cricket project is going to start this March to help asylum seekers and refugees integrate into their new communities in Cardiff.
Cricket Wales, Wicketz, Cardiff Council and Oasis have joined together to facilitate the four-week project where participants can meet new people, learn skills, improve their wellbeing and hopefully start to feel at home through sport.
Organiser Mat Salley said: “You can see it in their faces, mentally they’re torn but if you can get involved in sport it creates a bit of a team spirit.
Whilst they are asylum seekers, they haven’t got any recourse to funds. If you can develop that structure…they don’t have to hang round. They don’t get depressed.
There’s that massive aspect to their wellbeing.”
It starts on 18 March in Splott and it is open to people of all ages and genders.

Mojeid Ilyas from Cardiff, who has been working as the Diversity Communities Development Officer for Cricket Wales for around a year, says that there are already 20 to 30 people expected to attend the first session.
It is mirrored on previous successes like the six-week summer programme run by the Urdd and Cricket Wales for refugees and asylum seekers last summer.
“It was brilliant,” said Mojeid about the summer programme. “We would go down there once a week on Tuesday mornings, and we’d still have 20 to 30 kids.
I think one session [it] was hailstones, but they just carried on playing.”
Mojeid believes the success is partly due to a familiarity with the sport as lots of the refugees come from places such as Afghanistan where cricket is popular. “Cricket is massive there,” said Mojeid. “It was almost quite natural.”

-- Crystal structures from another source follow --
+++
# 1
Starting from DFT lattice parameters and positions (GGA-PBE), the PXRD pattern of Y2TmTl3AgIr2 was simulated for Cu Kα.

The 8 most intense peaks (2θ from 10° to 90°), in order of falling intensity:
two_theta, I_rel
32.91, 100
35.45, 78
39.68, 56
32.80, 48
35.59, 47
48.07, 41
42.58, 40
39.97, 32

Cell and atoms:
Cell: 3.785 7.832 7.832 Å, 119.53 90.00 90.00°
Atoms (fractional coordinates):
1 Y 0.000 0.206 0.794
2 Y 0.000 0.794 0.206
3 Tm 0.000 0.381 0.381
4 Tl 0.500 0.065 0.065
5 Tl 0.500 0.523 0.795
6 Tl 0.500 0.795 0.523
7 Ag 0.000 0.793 0.793
8 Ir 0.500 0.133 0.460
9 Ir 0.500 0.460 0.133

***

# 2
Starting from DFT lattice parameters and positions (GGA-PBE), the PXRD pattern of Li2LaCdIn2Ag2 was simulated for Cu Kα.

The 8 most intense peaks (2θ from 10° to 90°), in order of falling intensity:
two_theta, I_rel
36.01, 100
36.80, 48
65.77, 33
21.98, 32
53.02, 16
64.21, 16
25.79, 15
43.28, 11

Cell and atoms:
Cell: 4.885 4.885 7.212 Å, 90.00 90.00 90.00°
Atoms (fractional coordinates):
1 Li 0.000 0.500 0.205
2 Li 0.500 0.000 0.795
3 La 0.000 0.000 0.500
4 Cd 0.500 0.500 0.000
5 In 0.000 0.000 0.000
6 In 0.500 0.500 0.500
7 Ag 0.000 0.500 0.772
8 Ag 0.500 0.000 0.228

----------

# 1
The following is a simulated PXRD pattern of Ga2FeO4. It was derived from DFT lattice parameters and positions (PBE+U), using Cu Kα (λ = 1.5418 Å).

Peak list (6 most intense, 2θ = 10–90°, in order of rising 2θ)
2θ (°), I (rel.)
29.84, 40
34.92, 100
35.20, 40
35.56, 61
56.24, 25
62.00, 57

Cell lengths 5.989, 5.989, 5.989 Å; angles 121.26, 119.06, 89.73 degrees
Positions (direct):
Ga  0.000  0.000  0.000
Ga  0.386  0.636  0.750
Ga  0.500  0.000  0.500
Ga  0.614  0.364  0.250
Fe  0.000  0.000  0.500
Fe  0.000  0.500  0.000
O  0.233  0.235  0.998
O  0.253  0.238  0.486
O  0.253  0.767  0.014
O  0.263  0.765  0.498
O  0.737  0.235  0.502
O  0.747  0.233  0.986
O  0.747  0.762  0.514
O  0.767  0.765  0.002


# 2
The following is a simulated PXRD pattern of Li4Mn3Nb3Sb2O16. It was derived from DFT lattice parameters and positions (PBE+U), using Cu Kα (λ = 1.5418 Å).

Peak list (6 most intense, 2θ = 10–90°, in order of rising 2θ)
2θ (°), I (rel.)
16.82, 71
18.10, 68
18.50, 100
23.63, 49
30.35, 63
34.37, 69

Cell lengths 6.347, 6.347, 10.542 Å; angles 90.31, 90.31, 58.06 degrees
Positions (direct):
Li  0.000  0.000  0.000
Li  0.004  0.004  0.485
Li  0.332  0.332  0.586
Li  0.656  0.656  0.096
Mn  0.173  0.665  0.271
Mn  0.665  0.173  0.271
Mn  0.837  0.837  0.780
Nb  0.177  0.177  0.256
Nb  0.341  0.839  0.769
Nb  0.839  0.341  0.769
Sb  0.358  0.358  0.990
Sb  0.678  0.678  0.464
O  0.005  0.005  0.182
O  0.006  0.006  0.670
O  0.008  0.468  0.157
O  0.139  0.139  0.880
O  0.178  0.694  0.893
O  0.327  0.327  0.372
O  0.330  0.849  0.384
O  0.468  0.008  0.157
O  0.476  0.476  0.142
O  0.482  0.988  0.678
O  0.511  0.511  0.671
O  0.651  0.651  0.881
O  0.694  0.178  0.893
O  0.845  0.845  0.379
O  0.849  0.330  0.384
O  0.988  0.482  0.678


# 3
+++

According to the UNCHR, in the year ending September 2021 there were 135,912 refugees in the UK and 83,489 pending asylum cases. People from Afghanistan were the second largest group of people applying for asylum in the UK.
Many have settled in Cardiff. “There’s quite a lot of Afghans who have settled in Cardiff, it’s one of the dispersible areas,” said Mat. “They’re being dispersed throughout the city and Wales.”
Tomos Barry, Development Officer of Wicketz, who is also involved in the project said it aims to break down boundaries. “It’s just giving them a nice introduction in a safe environment,” said Tomos.
“Sport has no language,” said Mat. “Their English, the culture, the work ethic, whatever it might be, they will learn far more from the communities. [Sport] further embeds them in the community, it’s not just sports for sports sake.”
It may also improve other skills, such as English language. “Within two weeks,” said Mat, “there are people coming back to us who didn’t have a word of English and all of a sudden, they have Cardiff accents.”
Programmes like this also have the ability to change bigger narratives. “Sometimes when the talk is about refugees and asylum seekers it can be a little bit negative,” said Mat. “[They] change the focus and the narratives.”

## Someone pasted records of crystals at this point
____________
# 1
Diffraction record for Cs2CaRuO6. The PXRD pattern is theoretical, not measured: it uses a cell relaxed with PBE and Cu Kα (λ = 1.5418 Å).
No peak broadening, texture or thermal motion is included.

Structural model:
```
data_Cs2CaRuO6
_space_group_name_H-M_alt 'P -3 m 1'
_space_group_IT_number 164
_space_group_name_Hall '-P 3 2"'
_cell_length_a 6.5616
_cell_length_b 6.5616
_cell_length_c 5.8281
_cell_angle_alpha 90.00
_cell_angle_beta 90.00
_cell_angle_gamma 120.00
loop_
_atom_site_label
_atom_site_fract_x
_atom_site_fract_y
_atom_site_fract_z
_atom_site_occupancy
Cs1 0.3333 0.6667 0.3402 1
Ca1 0.0000 0.0000 0.0000 1
Ru1 0.0000 0.0000 0.5000 1
O1 0.1338 0.2675 0.6936 1
```

Most intense lines, 2θ = 15–90°, in order of rising 2θ:
2theta	I/Imax
15.20	51
21.84	70
27.18	100
31.29	35
34.59	47
35.14	46
44.54	39
48.03	18
52.96	32
56.06	18

# 2
Diffraction record for AgTeCl2. The PXRD pattern is theoretical, not measured: it uses a cell relaxed with PBE and Cu Kα (λ = 1.5418 Å).
No peak broadening, texture or thermal motion is included.

Structural model:
```
data_AgTeCl2
_space_group_name_H-M_alt 'F m m m'
_space_group_IT_number 69
_space_group_name_Hall '-F 2 2'
_cell_length_a 6.588
_cell_length_b 7.851
_cell_length_c 7.894
_cell_angle_alpha 90.00
_cell_angle_beta 90.00
_cell_angle_gamma 90.00
loop_
_atom_site_label
_atom_site_fract_x
_atom_site_fract_y
_atom_site_fract_z
_atom_site_occupancy
Ag1 0.000 0.000 0.000 1
Te1 0.000 0.000 0.500 1
Cl1 0.000 0.250 0.250 1
```

Most intense lines, 2θ = 15–90°, in order of rising 2θ:
2theta	I/Imax
22.53	33
22.65	33
27.07	80
32.16	100
35.54	44
42.52	89
45.99	18
54.18	21
54.42	21
65.89	23

# 3
Diffraction record for Tl3SeI. The PXRD pattern is theoretical, not measured: it uses a cell relaxed with PBE and Cu Kα (λ = 1.5418 Å).
No peak broadening, texture or thermal motion is included.

Structural model:
```
data_Tl3SeI
_space_group_name_H-M_alt 'R -3'
_space_group_IT_number 148
_space_group_name_Hall '-R 3'
_cell_length_a 7.7434
_cell_length_b 7.7434
_cell_length_c 22.3342
_cell_angle_alpha 90.00
_cell_angle_beta 90.00
_cell_angle_gamma 120.00
loop_
_atom_site_label
_atom_site_fract_x
_atom_site_fract_y
_atom_site_fract_z
_atom_site_occupancy
Tl1 0.0145 0.4584 0.0927 1
Se1 0.0000 0.0000 0.3217 1
I1 0.0000 0.0000 0.1069 1
```

Most intense lines, 2θ = 15–90°, in order of rising 2θ:
2theta	I/Imax
23.91	44
25.94	38
26.89	77
31.11	54
33.41	100
36.35	18
38.99	19
46.94	24
48.99	26
57.36	17

# 4
Diffraction record for RbLiB2. The PXRD pattern is theoretical, not measured: it uses a cell relaxed with PBE and Cu Kα (λ = 1.5418 Å).
No peak broadening, texture or thermal motion is included.

Structural model:
```
data_RbLiB2
_space_group_name_H-M_alt 'I 41/a m d'
_space_group_IT_number 141
_cell_length_a 3.630
_cell_length_b 3.630
_cell_length_c 18.284
_cell_angle_alpha 90.00
_cell_angle_beta 90.00
_cell_angle_gamma 90.00
loop_
_space_group_symop_operation_xyz
'x,y,z'
'-x,-y,-z'
'-y+1/4,x+3/4,z+1/4'
____________

Cricket has faced its own negative narrative recently in the UK, with inquiries into institutionalised racism led by professional player Azeem Rafiq.
Mojeid, however, said: “In the last two years [Cricket Wales] has made massive strides in making cricket [a] more inclusive game”.
Tomos also spoke of the inclusivity of the game, “I know there’s a lot of stuff about institutionalised racism within sports in the UK coming out over the last few months,” said Tomos. “Growing up…[I] didn’t see much of that”.
For Mat, showcasing the talents of refugees and asylum seekers can really help to change people’s perceptions. “We’re saying to clubs in Cardiff these guys are skilled. There is a mutual benefit. You need players and they need to learn”.
The benefit for some clubs has been noticeable. Refugees and asylum seekers who started playing at Splott FC now make up most of the team, according to Mat.
The cricket project is initially running for four weeks but there is a hope that it will continue to be run by volunteers.
“It works,” said Mat, “Quite often a result for us is if we don’t see somebody again because what it often means is that they’re really engaged and integrated.
In terms of a learning outcome, it’s a massive win-win.”